**File:**
+++
67
Properties=species:S:1:pos:R:3 method="wB97M-V/def2-TZVPD" homo_lumo_gap_ev=7.726 e_homo_ev=-8.67 e_lumo_ha=-0.03454
C 2.392 1.869 -4.388
C 1.132 2.258 -3.678
Cl -0.209 1.178 -3.896
C 0.977 3.344 -2.926
Cl 2.327 4.417 -2.766
C -0.255 3.711 -2.193
C -0.992 4.834 -2.574
C -0.581 5.685 -3.755
C -0.723 4.919 -5.079
F 0.508 4.770 -5.711
C -2.160 5.152 -1.876
O -2.861 6.271 -2.246
C -2.616 4.363 -0.818
I -4.388 4.918 0.125
C -1.897 3.226 -0.468
C -0.715 2.918 -1.148
C 0.047 1.708 -0.691
O 1.251 1.700 -0.583
C -0.816 0.550 -0.335
C -0.475 -0.759 -0.650
C -1.369 -1.780 -0.350
P -1.025 -3.484 -0.843
O -2.287 -3.808 -1.799
O -1.355 -4.326 0.453
S 0.688 -3.769 -1.653
C -2.574 -1.481 0.299
C -2.892 -0.179 0.654
C -2.011 0.843 0.318
C -2.312 2.274 0.618
O -2.822 2.622 1.657
H 2.714 2.667 -5.054
H 2.238 0.951 -4.947
H 3.173 1.671 -3.651
H 0.445 6.024 -3.640
H -1.262 6.529 -3.782
H -1.398 5.427 -5.767
H -1.122 3.916 -4.909
H -3.755 6.003 -2.492
H 0.460 -0.980 -1.148
H -2.722 -2.993 -2.073
H -0.731 -5.073 0.598
H -3.267 -2.283 0.521
H -3.822 0.041 1.159
C 0.084 -5.152 3.494
C 0.725 -6.148 2.563
O 0.592 -6.084 1.343
N 1.482 -7.129 3.103
C 1.770 -7.361 4.505
H -0.483 -4.441 2.903
H -0.586 -5.643 4.201
H 0.847 -4.600 4.042
H 1.884 -7.755 2.422
H 2.844 -7.307 4.687
H 1.416 -8.348 4.807
H 1.278 -6.614 5.119
C 1.401 0.125 4.584
C 1.600 -0.891 3.486
O 1.095 -2.004 3.522
N 2.354 -0.523 2.421
C 2.990 0.754 2.148
H 0.772 -0.320 5.350
H 2.356 0.409 5.027
H 0.910 1.019 4.198
H 2.448 -1.254 1.732
H 2.587 1.137 1.211
H 4.069 0.634 2.040
H 2.795 1.462 2.946



62
Properties=species:S:1:pos:R:3 method="wB97M-V/def2-TZVPD" homo_lumo_gap_ev="5.743 / 5.678" e_homo_ev="-1.62 / -1.59" total_charge=-2 e_above_lowest_kj_mol=146.2 spin_multiplicity=2 e_lumo_ha="0.15138 / 0.15013"
Pt -0.349 0.309 0.138
O 2.016 -3.380 -0.390
Cl 1.382 -2.312 -1.109
O 1.441 -2.588 -2.520
O -0.003 -2.208 -0.695
O 2.061 -1.069 -0.840
C 5.261 7.681 -1.477
C 4.139 6.676 -1.409
C 4.179 5.482 -2.113
C 3.146 4.551 -2.031
C 3.280 3.268 -2.810
C 2.015 4.791 -1.230
Te 0.409 3.192 -0.939
N -1.420 1.690 -0.825
C -2.708 1.492 -1.051
O -3.311 0.400 -0.964
C -3.499 2.704 -1.491
C -3.189 3.987 -1.056
C -3.965 5.069 -1.448
C -5.058 4.876 -2.283
C -5.379 3.594 -2.714
C -4.604 2.516 -2.317
C -0.045 3.278 -3.026
C -0.492 4.469 -3.610
C -0.658 5.752 -2.839
C -0.795 4.501 -4.971
C -0.694 3.374 -5.765
C -1.029 3.415 -7.233
C -0.276 2.191 -5.170
C 0.051 2.116 -3.820
C 0.468 0.783 -3.277
C 1.986 5.999 -0.514
C 0.836 6.381 0.394
C 3.028 6.919 -0.614
H 6.078 7.315 -2.101
H 5.654 7.887 -0.479
H 4.910 8.628 -1.895
H 5.045 5.261 -2.733
H 4.286 3.164 -3.220
H 2.565 3.236 -3.635
H 3.071 2.413 -2.164
H -2.343 4.124 -0.396
H -3.719 6.067 -1.102
H -5.662 5.722 -2.592
H -6.238 3.439 -3.357
H -4.842 1.506 -2.623
H -0.689 5.546 -1.771
H -1.580 6.257 -3.133
H 0.182 6.425 -3.032
H -1.117 5.440 -5.413
H -1.377 4.406 -7.526
H -1.810 2.690 -7.471
H -0.155 3.168 -7.840
H -0.199 1.296 -5.779
H 0.726 0.085 -4.072
H -0.359 0.344 -2.711
H 1.314 0.862 -2.597
H 0.165 5.540 0.553
H 0.265 7.206 -0.042
H 1.216 6.709 1.364
H 2.974 7.844 -0.044
Se -0.034 0.425 2.413



92
Properties=species:S:1:pos:R:3 method="wB97M-V/def2-TZVPD" homo_lumo_gap_ev=7.664 e_homo_ev=-5.72 total_charge=-1 e_lumo_ha=0.07160
C -0.574 2.701 -3.778
C 0.337 1.927 -2.828
C -0.156 2.081 -1.394
C 0.652 1.429 -0.245
C -0.297 0.618 0.632
S 1.969 0.318 -0.737
O 2.557 -0.116 0.536
O 2.911 1.070 -1.563
O 1.291 -0.777 -1.475
H -0.186 2.721 -4.791
H -0.700 3.725 -3.427
H -1.562 2.247 -3.761
H 0.299 0.874 -3.092
H 1.365 2.254 -2.933
H -1.162 1.664 -1.366
H -0.264 3.148 -1.195
H 1.096 2.211 0.364
H -0.754 -0.138 0.001
H 0.242 0.108 1.420
H -1.056 1.277 1.047
C 1.924 -0.281 4.349
C 1.545 0.988 5.117
C 2.650 1.715 5.882
F 3.159 0.935 6.859
F 2.123 2.821 6.461
F 0.498 0.741 5.945
F 1.119 1.884 4.186
O 1.628 -1.517 4.981
C 2.486 -2.159 5.826
C 1.847 -2.314 7.207
F 1.580 -1.110 7.748
F 2.696 -2.973 8.032
F 3.700 -1.593 5.891
F 2.644 -3.418 5.352
H 1.287 -0.280 3.465
+++
**Activity:**
Give back the lines further above from the first line to the one with "-2.623" with every line break kept.
**Reply:**
67
Properties=species:S:1:pos:R:3 method="wB97M-V/def2-TZVPD" homo_lumo_gap_ev=7.726 e_homo_ev=-8.67 e_lumo_ha=-0.03454
C 2.392 1.869 -4.388
C 1.132 2.258 -3.678
Cl -0.209 1.178 -3.896
C 0.977 3.344 -2.926
Cl 2.327 4.417 -2.766
C -0.255 3.711 -2.193
C -0.992 4.834 -2.574
C -0.581 5.685 -3.755
C -0.723 4.919 -5.079
F 0.508 4.770 -5.711
C -2.160 5.152 -1.876
O -2.861 6.271 -2.246
C -2.616 4.363 -0.818
I -4.388 4.918 0.125
C -1.897 3.226 -0.468
C -0.715 2.918 -1.148
C 0.047 1.708 -0.691
O 1.251 1.700 -0.583
C -0.816 0.550 -0.335
C -0.475 -0.759 -0.650
C -1.369 -1.780 -0.350
P -1.025 -3.484 -0.843
O -2.287 -3.808 -1.799
O -1.355 -4.326 0.453
S 0.688 -3.769 -1.653
C -2.574 -1.481 0.299
C -2.892 -0.179 0.654
C -2.011 0.843 0.318
C -2.312 2.274 0.618
O -2.822 2.622 1.657
H 2.714 2.667 -5.054
H 2.238 0.951 -4.947
H 3.173 1.671 -3.651
H 0.445 6.024 -3.640
H -1.262 6.529 -3.782
H -1.398 5.427 -5.767
H -1.122 3.916 -4.909
H -3.755 6.003 -2.492
H 0.460 -0.980 -1.148
H -2.722 -2.993 -2.073
H -0.731 -5.073 0.598
H -3.267 -2.283 0.521
H -3.822 0.041 1.159
C 0.084 -5.152 3.494
C 0.725 -6.148 2.563
O 0.592 -6.084 1.343
N 1.482 -7.129 3.103
C 1.770 -7.361 4.505
H -0.483 -4.441 2.903
H -0.586 -5.643 4.201
H 0.847 -4.600 4.042
H 1.884 -7.755 2.422
H 2.844 -7.307 4.687
H 1.416 -8.348 4.807
H 1.278 -6.614 5.119
C 1.401 0.125 4.584
C 1.600 -0.891 3.486
O 1.095 -2.004 3.522
N 2.354 -0.523 2.421
C 2.990 0.754 2.148
H 0.772 -0.320 5.350
H 2.356 0.409 5.027
H 0.910 1.019 4.198
H 2.448 -1.254 1.732
H 2.587 1.137 1.211
H 4.069 0.634 2.040
H 2.795 1.462 2.946



62
Properties=species:S:1:pos:R:3 method="wB97M-V/def2-TZVPD" homo_lumo_gap_ev="5.743 / 5.678" e_homo_ev="-1.62 / -1.59" total_charge=-2 e_above_lowest_kj_mol=146.2 spin_multiplicity=2 e_lumo_ha="0.15138 / 0.15013"
Pt -0.349 0.309 0.138
O 2.016 -3.380 -0.390
Cl 1.382 -2.312 -1.109
O 1.441 -2.588 -2.520
O -0.003 -2.208 -0.695
O 2.061 -1.069 -0.840
C 5.261 7.681 -1.477
C 4.139 6.676 -1.409
C 4.179 5.482 -2.113
C 3.146 4.551 -2.031
C 3.280 3.268 -2.810
C 2.015 4.791 -1.230
Te 0.409 3.192 -0.939
N -1.420 1.690 -0.825
C -2.708 1.492 -1.051
O -3.311 0.400 -0.964
C -3.499 2.704 -1.491
C -3.189 3.987 -1.056
C -3.965 5.069 -1.448
C -5.058 4.876 -2.283
C -5.379 3.594 -2.714
C -4.604 2.516 -2.317
C -0.045 3.278 -3.026
C -0.492 4.469 -3.610
C -0.658 5.752 -2.839
C -0.795 4.501 -4.971
C -0.694 3.374 -5.765
C -1.029 3.415 -7.233
C -0.276 2.191 -5.170
C 0.051 2.116 -3.820
C 0.468 0.783 -3.277
C 1.986 5.999 -0.514
C 0.836 6.381 0.394
C 3.028 6.919 -0.614
H 6.078 7.315 -2.101
H 5.654 7.887 -0.479
H 4.910 8.628 -1.895
H 5.045 5.261 -2.733
H 4.286 3.164 -3.220
H 2.565 3.236 -3.635
H 3.071 2.413 -2.164
H -2.343 4.124 -0.396
H -3.719 6.067 -1.102
H -5.662 5.722 -2.592
H -6.238 3.439 -3.357
H -4.842 1.506 -2.623